== Excerpt ==
+++
This record from the OMol25 dataset describes a molecular structure, C49H49Cl2N7O8PTi. The level of theory is wB97M-V/def2-TZVPD.

Output
total energy: -4993.1881 Ha
energy relative to the best compared isomer or geometry (same formula, charge and spin): 0.0 kcal/mol
⟨S²⟩: 2.062

Structure (ORCA input):
```
! RIJCOSX wB97M-V def2-TZVPD def2/J DEFGRID3
* xyz -1 3
Ti -0.6453 -0.4621 0.1035
O 2.3723 1.5295 1.4718
C 1.9365 0.3932 1.5579
O 0.6948 0.0663 1.4620
C 2.9117 -0.7323 1.9007
C 3.9794 -0.3639 2.7218
C 4.9447 -1.2792 3.0961
C 4.8823 -2.5818 2.6138
C 3.8441 -2.9491 1.7794
C 2.8311 -2.0496 1.4371
P 1.5664 -2.5291 0.2034
C 2.6767 -2.9076 -1.2023
C 2.6249 -4.0773 -1.9510
C 3.4026 -4.2169 -3.0947
C 4.2468 -3.1951 -3.4961
C 4.3253 -2.0336 -2.7364
C 3.5442 -1.8892 -1.6033
C 0.9266 -4.1473 0.7255
C 1.2238 -4.7580 1.9401
C 0.6400 -5.9712 2.2781
C -0.2584 -6.5788 1.4168
C -0.5910 -5.9567 0.2213
C -0.0122 -4.7451 -0.1175
H 4.0331 0.6679 3.0427
H 5.7560 -0.9758 3.7461
H 5.6526 -3.2994 2.8676
H 3.8189 -3.9509 1.3673
H 1.9662 -4.8839 -1.6570
H 3.3350 -5.1269 -3.6782
H 4.8341 -3.2978 -4.3993
H 4.9875 -1.2306 -3.0363
H 3.6023 -0.9720 -1.0267
H 1.8914 -4.2773 2.6419
H 0.8734 -6.4284 3.2316
H -0.7136 -7.5243 1.6840
H -1.3161 -6.4070 -0.4452
H -0.3034 -4.2525 -1.0362
C 0.2712 4.2024 4.3805
N 0.2913 3.5594 3.0919
C 0.8424 4.3168 2.0002
C -0.4899 2.4492 2.8154
N -1.2156 2.3206 1.7493
C -1.8796 3.4551 1.2740
C -2.5538 4.2809 2.1841
C -3.2461 5.4179 1.7967
C -3.3048 5.7443 0.4485
C -2.6756 4.9216 -0.4730
C -1.9451 3.7862 -0.1007
N -1.4253 2.9388 -1.0807
C -0.9928 3.3958 -2.2039
N -0.3237 4.6072 -2.4061
C 0.4107 5.1967 -1.3142
C -0.7612 5.5286 -3.4288
N -1.1466 2.6528 -3.3423
C -0.2161 2.6945 -4.4501
C -2.0988 1.5566 -3.3094
N -0.4404 1.4840 3.7778
C -1.4709 0.4731 3.8604
C 0.7700 1.1601 4.4978
H -0.2462 5.1693 4.3215
H 1.2872 4.3816 4.7513
H -0.2516 3.5742 5.0987
H 0.2035 5.1578 1.7004
H 0.9739 3.6439 1.1578
H 1.8234 4.6998 2.2937
H -2.5430 3.9900 3.2287
H -3.7542 6.0242 2.5363
H -3.8590 6.6110 0.1099
H -2.7748 5.1407 -1.5298
H 0.8497 4.4016 -0.7147
H -0.2082 5.8282 -0.6681
H 1.2196 5.8045 -1.7289
H -1.4497 5.0302 -4.1074
H 0.0869 5.9066 -4.0102
H -1.2781 6.3877 -2.9810
H 0.6042 3.3668 -4.2132
H -0.6994 3.0446 -5.3698
H 0.1951 1.7005 -4.6421
H -2.1026 1.0767 -4.2868
H -1.8498 0.8223 -2.5445
H -3.1023 1.9354 -3.1038
H -2.3387 0.7912 3.2874
H -1.7527 0.3289 4.9085
H -1.1157 -0.4755 3.4571
H 1.5631 1.8549 4.2378
H 1.0950 0.1462 4.2393
H 0.5985 1.1902 5.5795
Cl -6.8228 -2.9145 3.1450
C -5.1983 -2.5166 2.6370
C -4.1298 -3.1245 3.2858
C -2.8459 -2.8132 2.8627
Cl -1.5057 -3.5512 3.6779
C -2.5813 -1.9323 1.8093
O -1.3485 -1.6827 1.4331
C -3.6997 -1.2672 1.2121
C -3.5175 -0.2436 0.2653
O -2.3649 0.2045 -0.1225
C -5.0086 -1.6064 1.6301
H -4.2879 -3.8236 4.0927
H -4.3842 0.2569 -0.1644
H -5.8586 -1.1273 1.1622
O 0.4647 0.3158 -1.2091
C 0.9904 -0.1182 -2.3194
C 0.4968 -1.2420 -3.0100
C 1.0922 -1.6513 -4.2172
C 0.5891 -2.7374 -4.9031
C -0.5297 -3.4421 -4.4611
C -1.1182 -3.0609 -3.2698
C -0.5994 -2.0153 -2.4868
O -1.1178 -1.7838 -1.3101
N 1.2592 -3.1688 -6.1180
O 0.8104 -4.1355 -6.7163
O 2.2302 -2.5369 -6.5044
H 1.8598 0.4241 -2.6858
H 1.9535 -1.1257 -4.6032
H -0.9084 -4.2703 -5.0393
H -1.9771 -3.5922 -2.8782
*
```

Atomic partial charges in e from the Mulliken method, atoms 1 to 6: number 1, Ti, carries 0.022; number 2, O, carries -0.815; number 3, C, carries 0.573; number 4, O, carries 1.215; number 5, C, carries -0.496; number 6, C, carries -0.809

~~~~~

Computed, not measured: a molecular structure, C24H33CdNO5P2S2Se3Te, with wB97M-V/def2-TZVPD.

The relative energy (zero: lowest compared OMol25 entry of this formula, charge and spin) comes out at 0.0 kJ/mol. As for the molar mass: 1018.50 g/mol. Its charge is -2. Its multiplicity is 1. The orbital gap comes out at 6.0 eV.

Last column: Mulliken charge in e.
Atoms and positions in Å:
1 Cd 1.88 -0.20 -1.43  0.58
2 C 4.60 -0.57 2.01  -0.62
3 C 4.09 0.26 3.00  -0.75
4 C 3.02 1.06 2.74  -0.84
+++

== To do ==
Start at the top of the listing further above and return each line, ending with the one that has "-0.1644".

== Here it is ==
This record from the OMol25 dataset describes a molecular structure, C49H49Cl2N7O8PTi. The level of theory is wB97M-V/def2-TZVPD.

Output
total energy: -4993.1881 Ha
energy relative to the best compared isomer or geometry (same formula, charge and spin): 0.0 kcal/mol
⟨S²⟩: 2.062

Structure (ORCA input):
```
! RIJCOSX wB97M-V def2-TZVPD def2/J DEFGRID3
* xyz -1 3
Ti -0.6453 -0.4621 0.1035
O 2.3723 1.5295 1.4718
C 1.9365 0.3932 1.5579
O 0.6948 0.0663 1.4620
C 2.9117 -0.7323 1.9007
C 3.9794 -0.3639 2.7218
C 4.9447 -1.2792 3.0961
C 4.8823 -2.5818 2.6138
C 3.8441 -2.9491 1.7794
C 2.8311 -2.0496 1.4371
P 1.5664 -2.5291 0.2034
C 2.6767 -2.9076 -1.2023
C 2.6249 -4.0773 -1.9510
C 3.4026 -4.2169 -3.0947
C 4.2468 -3.1951 -3.4961
C 4.3253 -2.0336 -2.7364
C 3.5442 -1.8892 -1.6033
C 0.9266 -4.1473 0.7255
C 1.2238 -4.7580 1.9401
C 0.6400 -5.9712 2.2781
C -0.2584 -6.5788 1.4168
C -0.5910 -5.9567 0.2213
C -0.0122 -4.7451 -0.1175
H 4.0331 0.6679 3.0427
H 5.7560 -0.9758 3.7461
H 5.6526 -3.2994 2.8676
H 3.8189 -3.9509 1.3673
H 1.9662 -4.8839 -1.6570
H 3.3350 -5.1269 -3.6782
H 4.8341 -3.2978 -4.3993
H 4.9875 -1.2306 -3.0363
H 3.6023 -0.9720 -1.0267
H 1.8914 -4.2773 2.6419
H 0.8734 -6.4284 3.2316
H -0.7136 -7.5243 1.6840
H -1.3161 -6.4070 -0.4452
H -0.3034 -4.2525 -1.0362
C 0.2712 4.2024 4.3805
N 0.2913 3.5594 3.0919
C 0.8424 4.3168 2.0002
C -0.4899 2.4492 2.8154
N -1.2156 2.3206 1.7493
C -1.8796 3.4551 1.2740
C -2.5538 4.2809 2.1841
C -3.2461 5.4179 1.7967
C -3.3048 5.7443 0.4485
C -2.6756 4.9216 -0.4730
C -1.9451 3.7862 -0.1007
N -1.4253 2.9388 -1.0807
C -0.9928 3.3958 -2.2039
N -0.3237 4.6072 -2.4061
C 0.4107 5.1967 -1.3142
C -0.7612 5.5286 -3.4288
N -1.1466 2.6528 -3.3423
C -0.2161 2.6945 -4.4501
C -2.0988 1.5566 -3.3094
N -0.4404 1.4840 3.7778
C -1.4709 0.4731 3.8604
C 0.7700 1.1601 4.4978
H -0.2462 5.1693 4.3215
H 1.2872 4.3816 4.7513
H -0.2516 3.5742 5.0987
H 0.2035 5.1578 1.7004
H 0.9739 3.6439 1.1578
H 1.8234 4.6998 2.2937
H -2.5430 3.9900 3.2287
H -3.7542 6.0242 2.5363
H -3.8590 6.6110 0.1099
H -2.7748 5.1407 -1.5298
H 0.8497 4.4016 -0.7147
H -0.2082 5.8282 -0.6681
H 1.2196 5.8045 -1.7289
H -1.4497 5.0302 -4.1074
H 0.0869 5.9066 -4.0102
H -1.2781 6.3877 -2.9810
H 0.6042 3.3668 -4.2132
H -0.6994 3.0446 -5.3698
H 0.1951 1.7005 -4.6421
H -2.1026 1.0767 -4.2868
H -1.8498 0.8223 -2.5445
H -3.1023 1.9354 -3.1038
H -2.3387 0.7912 3.2874
H -1.7527 0.3289 4.9085
H -1.1157 -0.4755 3.4571
H 1.5631 1.8549 4.2378
H 1.0950 0.1462 4.2393
H 0.5985 1.1902 5.5795
Cl -6.8228 -2.9145 3.1450
C -5.1983 -2.5166 2.6370
C -4.1298 -3.1245 3.2858
C -2.8459 -2.8132 2.8627
Cl -1.5057 -3.5512 3.6779
C -2.5813 -1.9323 1.8093
O -1.3485 -1.6827 1.4331
C -3.6997 -1.2672 1.2121
C -3.5175 -0.2436 0.2653
O -2.3649 0.2045 -0.1225
C -5.0086 -1.6064 1.6301
H -4.2879 -3.8236 4.0927
H -4.3842 0.2569 -0.1644